- - -
C3H7NOS2 as an isolated structure. Source: OMol25; level of theory: the ωB97M-V functional and the def2-TZVPD basis.

## Properties
E_LUMO ... -0.0045 Ha
Molecular weight ... 137.23 g mol⁻¹
Orbital gap ... 8.6 eV
HOMO ... -8.75 eV

```
! RIJCOSX wB97M-V def2-TZVPD def2/J DEFGRID3
* xyz 0 1
C 3.3868 -0.0688 -0.0191
C 1.9806 0.6068 0.2312
C -0.6376 -0.1534 0.1687
H 3.5212 -0.4140 -1.1112
H 4.1285 0.8165 -0.0462
H 3.8852 -0.7944 0.6112
H 1.7934 0.9875 1.3189
H 2.0880 1.5526 -0.4429
H -1.3953 -2.1244 0.7747
H -2.8831 0.3647 -0.2160
N -1.6220 -1.0026 0.1327
O -2.9740 -0.6516 -0.0779
S 0.8796 -0.8625 -0.1637
S -1.1528 1.4585 -0.0538
*
```

=====

# C35H42BCl5N2OZn

C35H42BCl5N2OZn as an isolated structure in a non-equilibrium geometry (ωB97M-V with the def2-TZVPD basis set, OMol25).

Positions of all 87 atoms, in Å:
Zn 1.2529 0.2413 -0.1262
Cl 2.8166 1.9281 3.1637
Cl 6.9902 3.3937 0.1456
Cl 5.4574 2.4627 -2.4190
Cl 5.6492 3.1212 2.9325
Cl 2.6507 1.1521 -2.1125
O 2.6562 -1.4766 -0.4870
N -1.5697 -0.7374 0.9426
N -1.5518 1.1004 -0.3360
C -2.0211 -4.3506 1.4667
C -2.0249 4.5939 1.1010
C 1.5125 -1.3402 2.9218
C 4.7422 2.2738 -0.8590
C -0.7921 3.3856 -0.6969
C -0.3839 0.2561 3.4239
C 5.4195 2.7043 0.2780
C -0.3337 4.1333 -2.9402
C 4.8167 2.5683 1.5245
C -1.4235 -2.0157 1.5338
C 2.8553 1.4907 0.5111
C 0.4552 4.2259 1.3260
C -1.1859 2.1469 -1.2153
C -0.6362 -0.0864 -4.0326
C -2.8312 -0.1597 0.9502
C -2.9735 0.8494 -3.9663
C 3.4976 1.6806 -0.7071
C -2.8171 0.9503 0.1892
C -0.8564 3.6564 0.7876
C -1.8035 -3.7676 -1.5170
C 2.4938 -3.7842 0.0514
C -2.6122 -2.9402 -0.5133
C -4.0903 -3.3298 -0.5359
C 3.2253 -2.5404 -0.3621
C 3.5561 1.9823 1.6097
C -1.6912 0.6032 -3.1662
C -1.1819 1.9075 -2.5945
C 0.0894 -1.1949 3.4701
C -0.7908 -3.4869 3.3150
C -0.7629 -2.2147 2.7503
C -0.3751 4.3715 -1.5802
C 4.6994 -2.6680 -0.6113
C -2.0209 -3.0996 0.8694
C -0.7410 2.9135 -3.4428
C -1.4301 -4.5419 2.6995
B -0.7107 0.0415 0.1120
H 1.2898 3.6034 1.0110
H 2.8307 -4.0964 1.0385
H -2.7909 1.5215 -4.8014
H -3.3580 -0.0912 -4.3554
H -1.0386 2.7106 1.3054
H -1.9347 -0.0727 -2.3403
H 2.1641 -0.5969 3.3670
H 0.4273 4.2407 2.4138
H -4.2307 -4.3796 -0.2888
H -2.5383 -1.8931 -0.8162
H -4.5084 -3.1542 -1.5252
H -0.7589 -3.4616 -1.5066
H -0.0735 5.3378 -1.2055
H 0.0385 0.7966 4.2680
H -1.0047 -1.0513 -4.3751
H -3.7352 1.2962 -3.3317
H 0.1151 -1.4957 4.5228
H 5.0814 -1.7447 -1.0399
H -1.8503 -4.8281 -1.2800
H -1.4595 -5.5102 3.1753
H -0.3074 -3.6502 4.2670
H -2.4856 -5.1878 0.9677
H 1.5072 -1.2075 1.8395
H -3.6085 1.6454 -0.0174
H -0.3888 0.5119 -4.9058
H 1.9073 -2.3308 3.1373
H -4.6408 -2.7320 0.1865
H 1.4231 -3.5941 0.0913
H -1.4677 0.3139 3.4866
H -1.8874 5.5626 0.6248
H 4.9106 -3.5008 -1.2774
H -0.7123 2.7427 -4.5082
H -2.1969 -3.6250 -2.5213
H -0.0551 0.7520 2.5155
H 2.6989 -4.5975 -0.6407
H 5.2111 -2.8551 0.3315
H 0.0096 4.9061 -3.6113
H 0.6263 5.2425 0.9771
H 0.2722 -0.2490 -3.4567
H -2.9575 4.1639 0.7435
H -2.1033 4.7445 2.1752
H -3.6445 -0.5860 1.5056

Forces on atoms 1 to 3 (eV/Å):
Zn 0.8744 0.3200 0.7842
Cl -0.2732 -0.0317 0.4280
Cl -0.0139 0.0215 -0.0522

Summary:
HOMO = -7.845 eV
ΔE to the lowest compared entry with this formula, charge and spin = 0.8184 eV
lowest unoccupied orbital energy = 0.00987 Ha
charge = 0
orbital gap = 8.11 eV

---

# C5H10N2

One molecule with the formula C5H10N2 (ωB97M-V with the def2-TZVPD basis set, OMol25).

Positions of all 17 atoms, in Å:
N -0.3030 0.8592 -1.4056
N 0.9139 0.6075 1.4510
C -1.1241 -0.3087 -1.0786
C 2.1901 0.2631 0.8228
C 0.3485 -0.3527 -0.9074
C 0.9546 -0.4692 0.4667
C -2.0377 -0.3141 0.1257
H 2.6010 0.9458 0.0810
H -1.5403 -0.7876 -1.9648
H -3.0109 0.1252 -0.1178
H 0.5513 1.4638 1.0385
H -0.3952 1.5659 -0.6775
H 2.9229 -0.1868 1.4885
H 0.8108 -1.4514 0.9176
H -2.2078 -1.3416 0.4683
H -1.6077 0.2417 0.9660
H 0.9338 -0.8600 -1.6744

Forces on atoms 1 to 3 (eV/Å):
N 0.0205 0.2663 0.0970
N -0.1538 0.2065 0.0229
C -0.1362 -0.1889 -0.0024

Summary:
HOMO = -9.305 eV
SMILES = C[C@H]1N[C@H]1[C@H]1CN1
- - -

Give back the lines above from the one with "1.2898 3.6034" to the one with "0.9677" verbatim.

H 1.2898 3.6034 1.0110
H 2.8307 -4.0964 1.0385
H -2.7909 1.5215 -4.8014
H -3.3580 -0.0912 -4.3554
H -1.0386 2.7106 1.3054
H -1.9347 -0.0727 -2.3403
H 2.1641 -0.5969 3.3670
H 0.4273 4.2407 2.4138
H -4.2307 -4.3796 -0.2888
H -2.5383 -1.8931 -0.8162
H -4.5084 -3.1542 -1.5252
H -0.7589 -3.4616 -1.5066
H -0.0735 5.3378 -1.2055
H 0.0385 0.7966 4.2680
H -1.0047 -1.0513 -4.3751
H -3.7352 1.2962 -3.3317
H 0.1151 -1.4957 4.5228
H 5.0814 -1.7447 -1.0399
H -1.8503 -4.8281 -1.2800
H -1.4595 -5.5102 3.1753
H -0.3074 -3.6502 4.2670
H -2.4856 -5.1878 0.9677